
2023年3月1日 1933点热度
  • 1、重要:仅对【私有生产类】的文件,做1:N灾备方案。
  • 2、普通:对于【非自产的、可通过互联网获取】的文件,不做1:1备份,只生成目录索引——旨在发生无可挽回的数据灾难后,可以通过当初的目录索引作为线索回忆:
    • 如:影视 清单
    • 如:漫画本 清单
    • 如:Program Files 文件夹 清单
    • 如:软件、游戏安装包 清单
  • 生成硬盘文件索引
  • 生成文件、目录索引;
  • 生成文件、目录列表;
  • 生成树形目录
  • (文件夹/目录)可折叠方式浏览【此项必须,否则索引单页太长,阅读极为困难】
  • 可以导出html格式(美观)
  • 支持命令行调用(计划任务自动执行
  • 演示:https://www.rlvision.com/snap2html/example.html
  • 官网:https://www.rlvision.com/snap2html/
  • GitHub:https://github.com/rlv-dan/Snap2HTML
# cmd命令:
"D:\Program\File\文件索引 - Snap2HTML\Snap2HTML.exe" -path:"D:\Download"  -outfile:"D:\Download\out.html"  -hidden
# bat命令:
echo off

start cmd /k ""D:\Program\File\文件索引 - Snap2HTML\Snap2HTML.exe" -path:"D:\"  -outfile:"D:\Download\Z7M-D.html"  -hidden"

start cmd /k ""D:\Program\File\文件索引 - Snap2HTML\Snap2HTML.exe" -path:"Q:\"  -outfile:"D:\Download\Z7M-Q.html" -hidden"
# cmd命令详细说明:
 --- Command Line -------------------------------------------------------------

  You can automate Snap2HTML by starting it from the command line with the 
  following options:

  Simple:   Snap2HTMl.exe "c:\path\to\root\folder"
              Starts the program with the given root path already set

  Full:     Snap2HTMl.exe -path:"root folder path" -outfile:"filename"
                          [-link:"link to path"] [-title:"page title"] 
						  [-hidden] [-system] [-silent]

Data records, kept here for reference.
'''
<a>
Below is the molecule C3H7NOS2, with properties calculated with ωB97M-V/def2-TZVPD.

Summary:
Kohn-Sham gap ... 8.6 eV
SMILES string ... N[C@H](CS)C(O)=S
Highest occupied orbital energy ... -8.5177 eV

ORCA input file:
```
! wB97M-V def2-TZVPD RIJCOSX def2/J DEFGRID3
* xyz 0 1
C -0.20576 -0.30773 0.56662
C -1.52243 0.09743 -0.12824
C 0.79482 0.77956 0.71320
H 1.39856 -0.71493 -0.50529
H 1.35572 -1.84954 0.62009
H -0.51760 -0.56833 1.68844
H -2.35463 -0.62801 0.12266
H -1.66591 1.38837 -0.25044
H -0.09560 -1.27980 -1.66747
H 0.44995 1.35158 -1.11499
N 0.73282 -1.27952 0.11356
O 1.06919 1.67525 -0.35884
S -0.99630 0.02710 -1.94423
S 1.55716 1.30858 2.14494
*
```

Löwdin atomic charge list, values in e, 6 entries: number 1, C, carries -0.565; number 2, C, carries -0.424; number 3, C, carries -0.809; number 4, H, carries 0.108; number 5, H, carries 0.092; number 6, H, carries 0.170

***

<b>
Below is a structure of composition C3H7NOS2, with properties calculated with ωB97M-V/def2-TZVPD.

Summary:
Kohn-Sham gap ... 8.7 eV
Highest occupied orbital energy ... -8.3816 eV

ORCA input file:
```
! wB97M-V def2-TZVPD RIJCOSX def2/J DEFGRID3
* xyz 0 1
C -0.13888 -1.41059 -0.16409
C -0.87203 0.80606 -0.43458
C 0.18439 -0.33187 0.76337
N 1.49196 0.12658 0.94774
O -1.14998 -2.03922 -0.21263
S -2.57384 0.50500 0.07835
S 2.61420 0.12303 -0.32710
H 0.60168 -1.58519 -0.95643
H -0.65322 0.55462 -1.56139
H -0.54230 1.81010 -0.27801
H -0.51472 -0.31208 1.69821
H 1.50145 1.17316 1.26030
H -2.40965 -0.79825 -0.24332
H 2.46093 1.37865 -0.57042
*
```

Löwdin atomic charge list, values in e, 6 entries: number 1, C, carries -0.391; number 2, C, carries -0.466; number 3, C, carries -0.327; number 4, N, carries -0.461; number 5, O, carries -0.019; number 6, S, carries 0.691

***

The least stable of them is <a>.

***

<a>
Below is a structure of composition C3H7NOS2, with properties calculated with ωB97M-V/def2-TZVPD.

Summary:
Kohn-Sham gap ... 8.3 eV
Highest occupied orbital energy ... -8.5761 eV

ORCA input file:
```
! wB97M-V def2-TZVPD RIJCOSX def2/J DEFGRID3
* xyz 0 1
C -2.83842 0.34545 0.02248
C -0.50583 0.17532 -0.02734
C 2.22802 -0.19252 -0.00419
H -3.68993 -0.26612 -0.43666
H -3.32742 0.58970 1.28092
H -2.76873 1.24821 -0.67937
H -0.79508 0.87729 -0.94265
H -0.25738 0.74355 0.76782
H 3.23214 -2.00124 -0.55574
H 4.25669 -0.51380 0.44996
N 3.32240 -0.90681 0.24430
O -1.80394 -0.46798 0.11382
S 0.78868 -1.07553 -0.16681
S 2.15882 1.44447 -0.06652
*
```

Löwdin atomic charge list, values in e, 6 entries: number 1, C, carries -0.235; number 2, C, carries -0.499; number 3, C, carries -1.349; number 4, H, carries 0.089; number 5, H, carries 0.168; number 6, H, carries 0.096

***

<b>
Below is the molecule C3H7NOS2, with properties calculated with ωB97M-V/def2-TZVPD.

Summary:
Kohn-Sham gap ... 9.2 eV
Highest occupied orbital energy ... -8.7929 eV

ORCA input file:
```
! wB97M-V def2-TZVPD RIJCOSX def2/J DEFGRID3
* xyz 0 1
C 0.18247 0.21372 -0.50312
'''
The data records stop here.

              -path:"root folder path"   - The root path to load.
                                           Example: -path:"c:\temp"
              -outfile:"filename"        - The filename to save the snapshot as.
                                           Don't forget the html extension!
                                           Example: -outfile:"c:\temp\out.html"

              -link:"link to path"       - The path to link files to.
                                           Example: -link:"c:\temp"
              -title:"page title"        - Set the page title. If omitted, title 
                                           is generated based on path.
              -hidden                    - Include hidden items

              -system                    - Include system items

			  -silent                    - Run without showing the window (only
                                           if both -path and -outfile are used)

  Notes:    When both -path and -outfile are specified, the program will 
            automatically start generating the snapshot, and quit when done.

            Always surround paths and filenames with quotes ("")!
            In silent mode, in case or error the program will just quit 
            without telling why.

            Do not include the [square brackets] when you write your command 
            line. (Square brackets signify optional command line parameters)

